/*
Here is a geometry-optimized CeMg2Cu structure from the Materials Project database. Energies are from GGA-PBE.

Output
The value obtained for the energy of formation is 0.5 eV/f.u. The total energy is -3.17 eV/atom.

The structure in CIF format:
```
data_CeMg2Cu
_chemical_formula_sum 'Ce4 Mg8 Cu4'
_cell_length_a 6.996
_cell_length_b 6.996
_cell_length_c 6.996
_cell_angle_alpha 90.00
_cell_angle_beta 90.00
_cell_angle_gamma 90.00
_symmetry_space_group_name_H-M 'F m -3 m'
_symmetry_Int_Tables_number 225
_symmetry_space_group_name_Hall '-F 4 2 3'
loop_
_atom_site_label
_atom_site_type_symbol
_atom_site_fract_x
_atom_site_fract_y
_atom_site_fract_z
Ce1 Ce 0.000 0.000 0.000
Mg1 Mg 0.250 0.250 0.250
Cu1 Cu 0.000 0.000 0.500
```

~~~~~

{
  "formula": "TiCo3",
  "functional": "GGA-PBE",
  "state": "relaxed",
  "formation_energy_ev_per_fu": -0.90,
  "lattice_angstrom": [[-2.233, 0.131, -3.478], [-0.788, 5.022, 0.694], [4.071, -1.612, -2.674]],
  "species": ["Ti", "Ti", "Co", "Co", "Co", "Co", "Co", "Co"],
  "fractional_positions": [[0.750, 0.667, 0.334], [0.250, 0.333, 0.666], [0.750, 0.163, 0.325], [0.750, 0.162, 0.837], [0.750, 0.675, 0.837], [0.250, 0.837, 0.675], [0.250, 0.838, 0.163], [0.250, 0.325, 0.163]]
}
*/
The reader should search the contents further above for the word "format" and reproduce each line that has it.
The structure in CIF format: